What to do:
Now find "Te: 0.000" and "55.60" in the calculation results further down, and print these two lines and those between.
Source:
- - -
Simulated PXRD pattern of RbPuVF6 for a wavelength of 1.5418 Å, from a structure optimized by DFT (PBE+U).
Lines closer than 0.1° are merged.

```
18
Lattice="-3.7404 3.9538 5.3333 3.7404 -3.9538 5.3333 3.7404 3.9538 -5.3333" Properties=species:S:1:pos:R:3 pbc="T T T"
Rb 0.0000 1.9769 0.9262
Rb 3.7404 1.9769 4.4071
Pu 3.7404 0.0000 0.0000
Pu 0.0000 0.0000 5.3333
V 1.8702 1.9769 -2.6666
V 1.8702 -1.9769 2.6666
F 1.7398 -0.4423 1.2307
F 5.7411 -0.4423 1.2307
F 3.7404 1.9769 -1.6947
F 1.7398 3.5114 -1.2307
F 2.0007 -0.4423 4.1026
F 3.7404 1.9769 1.2102
F 0.0000 1.9769 4.1230
F 1.7398 4.3961 1.2307
F 2.0007 0.4423 6.5640
F 0.0000 1.9769 7.0280
F -2.0007 4.3961 4.1026
F 2.0007 4.3961 4.1026
```

Peak list (10 most intense, 15° ≤ 2θ ≤ 90°, in order of rising 2θ)
2θ 16.62, I = 50.9; 2θ 23.79, I = 23.0; 2θ 26.84, I = 100.0; 2θ 27.78, I = 27.2; 2θ 28.09, I = 38.9; 2θ 29.16, I = 51.2; 2θ 36.03, I = 42.2; 2θ 43.75, I = 31.8; 2θ 47.79, I = 47.8; 2θ 56.79, I = 19.1

* * * * *

# PrSn2Sb3
Theoretical XRD peak list, Cu Kα, 1.54184 Å. Input: a structure optimized by DFT (GGA-PBE).
No peak broadening, texture or thermal motion is included.

Cell: 4.3699 11.4748 7.2874 Å, 90.00 90.00 90.00°
Atoms (fractional coordinates):
Pr  0.0000  0.1232  0.0000
Pr  0.0000  0.8768  0.5000
Sn  0.0000  0.1785  0.4513
Sn  0.0000  0.8215  0.9513
Sn  0.5000  0.4548  0.5124
Sn  0.5000  0.5452  0.0124
Sb  0.0000  0.3608  0.7310
Sb  0.0000  0.6392  0.2310
Sb  0.5000  0.0511  0.6823
Sb  0.5000  0.3050  0.1704
Sb  0.5000  0.6950  0.6704
Sb  0.5000  0.9489  0.1823

Main lines, by angle (5° ≤ 2θ ≤ 70°):
| 2theta | intensity |
| --- | --- |
| 25.63 | 257 |
| 26.31 | 281 |
| 28.45 | 749 |
| 31.98 | 295 |
| 32.94 | 1000 |
| 33.50 | 711 |
| 33.98 | 804 |
| 37.50 | 339 |
| 41.31 | 539 |
| 54.54 | 459 |

* * * * *

The following is a theoretical powder X-ray diffraction pattern of Ag5TeO5. It was derived from a structure optimized by DFT (GGA-PBE), using Cu Kα (λ = 1.5418 Å).
No peak broadening, texture or thermal motion is included.

Structure:
Lattice parameters (Å, degrees): 12.779 3.923 7.066 90.00 103.46 90.00
Space group C2/m (No. 12)
One atom of each set of equivalent atoms:
Ag: 0.000 0.000 0.000
Ag: 0.183 0.500 0.883
Ag: 0.188 0.500 0.296
Te: 0.000 0.000 0.500
O: 0.000 0.500 0.500
O: 0.090 0.000 0.305
O: 0.130 0.000 0.712

Main lines, by angle (10° ≤ 2θ ≤ 90°):
2theta  Rel. int.  (hkl)
31.41  92.7  3 1 0
32.58  43.3  2 0 2
34.15  100.0  4 0 -2
43.70  15.8  6 0 0
44.93  10.1  1 1 -3
46.29  23.9  0 2 0
55.60  16.3  5 1 2
57.61  9.8  7 1 -2
57.75  16.6  2 2 2
58.73  14.8  4 2 -2

The following is a theoretical powder X-ray diffraction pattern of RbMnCu2. It was derived from a structure optimized by DFT (GGA-PBE), using Cu Kα (λ = 1.5418 Å).
No peak broadening, texture or thermal motion is included.

Structure:
Lattice parameters (Å, degrees): 5.030 5.030 17.172 90.00 90.00 90.00
Space group I4_1/amd (No. 141, origin choice 2)
One atom of each set of equivalent atoms:
Rb: 0.000 0.250 0.375
Mn: 0.000 0.250 0.875
Cu: 0.000 0.000 0.000

Main lines, by angle (10° ≤ 2θ ≤ 90°):
2theta  Rel. int.  (hkl)
18.38  29.7  1 0 1
23.54  56.5  1 0 3
27.14  100.0  1 1 2
31.54  27.0  1 0 5
35.70  23.8  2 0 0
37.25  40.0  2 0 2
40.45  60.2  1 1 6
41.62  30.4  2 0 4
42.10  28.7  0 0 8
55.96  47.2  2 2 4

The following is a theoretical powder X-ray diffraction pattern of AgHg2F3. It was derived from a structure optimized by DFT (GGA-PBE), using Cu Kα (λ = 1.5418 Å).
No peak broadening, texture or thermal motion is included.

Structure:
Lattice parameters (Å, degrees): 3.658 7.938 8.883 104.94 101.77 103.08
Space group P-1 (No. 2)
One atom of each set of equivalent atoms:
Ag: 0.052 0.454 0.149
Hg: 0.110 0.263 0.457
Hg: 0.161 0.051 0.768
F: 0.287 0.760 0.314
F: 0.337 0.534 0.641
F: 0.387 0.274 0.996

Main lines, by angle (10° ≤ 2θ ≤ 90°):
2theta  Rel. int.  (hkl)
10.73  32.4  0 0 1
21.10  41.7  0 1 -2
26.09  100.0  -1 1 1
26.92  72.7  0 2 -2
29.67  58.0  0 2 1
31.76  48.3  1 -2 1
- - -
Outcome:
Te: 0.000 0.000 0.500
O: 0.000 0.500 0.500
O: 0.090 0.000 0.305
O: 0.130 0.000 0.712

Main lines, by angle (10° ≤ 2θ ≤ 90°):
2theta  Rel. int.  (hkl)
31.41  92.7  3 1 0
32.58  43.3  2 0 2
34.15  100.0  4 0 -2
43.70  15.8  6 0 0
44.93  10.1  1 1 -3
46.29  23.9  0 2 0
55.60  16.3  5 1 2